To Conclude
Now, I know you might say “well, there is explanatory text for the image.” This doesn’t help all too much since images should help clarify the purpose of your site and, in doing so, be self-evident. When you need one element, text, image, video, sound bite, whatever, to explain—not enhance—another element on your site, that is no good. So, when thinking responsively, consider how you might have to change your assets and content to ensure the best experience over multiple device sizes, even going so far as to have different assets for mobile and desktop experiences if absolutely necessary.
Oh boy. Look at it now. Can’t really tell what it is at all, except a bunch of people standing around under a moon. Could be for anything, Twilight, Vampire Diaries, Harry Potter (that one guy looks like Hagrid doesn’t he?) Phone widths range between 320-pixel viewports for smaller devices and 400 – 475 for the larger devices. That’s not a lot of width when you consider some of the assets we use in our content.
Let’s shrink this bad boy down to mobile size though, shall we?
Even here, it is a bit too small. Primarily, you can tell it’s the cast of LOST because the image is large enough that some of the faces and people are recognizable. This is great for your desktop or laptop, where the average viewport size is around 1000 to 1400 pixels wide.
Some of your content is bound to not scale to mobile well. Look at this image of the cast of LOST:
Scaling Content
Make sure you have all your mobile designs and needs considered first, and then work from there. By considering the mobile use case first, we free ourselves up to add to the desktop experience instead of limiting that same experience for mobile devices. It allows us to create more and constrain less when making the website.
- There is less space on a smaller screen.
- A touchscreen has different functionality from a mouse
- Frequently, phones may not be connected to Wi-Fi, so your FMP and TTI times become even more important.
The reasons for this are fairly simple:
This is more of an instruction for whoever is designing the layouts for your web page, but you can consider this too when making content. Essentially, any designs for mobile device sizes need to be in place before the designs for tablet and desktop can be considered.
Ensure Your Designs Are “Mobile First”
Your front end developers know that responsive design is a must. As a marketer, this is probably also one of your biggest concerns. We want to be able to reach out and engage with our users anywhere, anytime, and on any device. The implementation of responsive design is often placed on the shoulders of the front end developer, but they can’t do it alone. Often times, what looks good on a desktop or what functions well on a laptop, aren’t going to be what looks and works well on someone’s phone or tablet.
Since these metrics are typically used by your marketing team, GA or SEO specialist, you might want to draw attention to these particular metrics to your dev team so they can take a look at how to make those particular pages better. They might see something that looks okay on the surface but could subtly affect user experience. Or they might notice that this particular functionality looks fine and shiny on Google Chrome but is a nightmare on Safari! Either way, don’t be afraid to bring these metrics up and have your team investigate.
Exit rates might be more indicative of a problem with the functionality of a page, or a page layout, later on in your conversion funnel. For instance, a user gets all the way down to some of your awesome gated content, and when they go to submit the form to get access to that sweet, sweet content, if the form times out, or doesn’t submit, or takes a long time to submit, they will leave frustrated.
For instance, high bounce rates could be indicative of long loading times. When we talk about how quickly the page should load, we’re talking about a page loading at a maximum of two seconds, and a goal of under half a second. So, pages that take longer than that to load are likely to see users abandon the site before the page even loads, increasing your bounce rates.
Bounce and exit rates are key marketing metrics for your site, as they tell you essentially how users are interacting with your pages, how quickly they leave, and where in your conversion funnel they opt out. Your dev team can use these metrics too as a way to see if there are particular issues with the site.
Bounce Rates and Exit Rates
Essentially, it boils down to this: JPEGs are good for smaller images and times when you don’t need your images to be pixel perfect. For example, they make good thumbnail images, background images (depending), icons, etc. PNGs are good to use when you need absolutely pixel-perfect images and are better for pictures of people, larger images on your site, images with text attached etc. Furthermore, many image modification applications, like Photoshop, usually have an option for optimizing images for the web. Since loading assets can take up the bulk of loading time for your page, you want to make sure you are cutting down file size wherever possible, and that usually means using JPEGs wherever won’t affect your user experience.
Use Images Optimized for the Web, and Proper for Your Situation
The beautiful thing about Web 2.0 is that we can get assets from other sources at the touch of a button, or er…click of a mouse. But loading too many external assets, or relying on too many styles, fonts, and images that need to be loaded from other places can slow your page down. Try instead to use in-house assets or give the files you need to your devs to cut down on load times.
- - -
20
Properties=species:S:1:pos:R:3:forces:R:3 method="wB97M-V/def2-TZVPD" homo_ev=-12.14 de_lowest_kcal_mol=62.2 total_charge=+1 gap_ha=0.315 fmax_ev_per_a=4.806
C 1.027 0.807 -0.114 -0.2 -1.3 -0.9
C -2.444 -2.808 -0.954 0.5 1.7 -3.3
C -2.337 -3.299 0.367 3.8 -2.2 -0.8
C 3.804 3.276 1.989 0.5 0.8 -1.6
C -2.543 -1.611 -3.181 2.0 1.3 -1.0
C 2.684 3.239 2.688 0.9 -0.6 3.1
N -2.369 -2.324 -2.007 -1.1 -2.4 4.0
N 1.449 1.796 0.306 0.1 0.0 -0.2
S 0.554 -0.587 -0.796 0.0 0.5 0.4
Cl 1.127 3.898 2.331 0.2 0.4 -0.1
H -3.018 -4.096 0.564 -0.7 -0.1 0.5
H -1.232 -3.806 0.355 -2.4 1.0 0.0
H -2.183 -2.481 1.013 -0.5 0.9 1.2
H 4.778 2.893 2.391 -1.3 0.3 -0.4
H 3.826 3.766 0.962 0.1 -0.7 1.4
H 1.779 2.683 0.617 -0.1 0.1 0.0
H -3.422 -1.013 -3.118 -0.8 0.3 0.0
H -2.545 -2.267 -4.056 0.2 0.2 0.2
H -1.658 -0.914 -3.121 -0.8 -0.5 -0.9
H 2.723 2.849 3.764 -0.2 0.4 -1.8
- - -
Driving Off the Page Isn’t Best Practice
Though this may seem like a no-brainer, it helps exponentially if any content OR interactivity you want from the site is above the fold. Essentially, developers can leverage techniques like “lazy loading,” to ensure that code/images/features are only loaded once a user does an action that would necessitate the code/images/features, such as scrolling down the page or clicking on a button. To ensure you get your fastest FMP and TTI times, you want to put your most valuable content and features front and center.
Ensure Your Best Content is Always Above the Fold
So, as a marketer, what can you do to help ensure that the time to reach the FMP and TTI is as short as possible? Lots of things!
Time to Interactive (TTI) is closely related to the FMP and will come after the FMP. Using the previous example, let’s say our “Duck of the Month” hero also has the ability to play the quack of the duck when clicked on, and you can swipe from left to right for more images. TTI is the time it takes for these features to become available on the page for the user to use, or when the page or app becomes useful.
The First Meaningful Paint (FMP) is the first time that your web browser renders content on the page that is useful to the end user. Let’s say you have a website all about different types of ducks and on your homepage, you want to feature a “Duck of the Month” as the homepage hero, or rather, main content above the fold. The FMP is the point at which the user can first see the image of your “Duck of the Month” as well as any headline or text attached to the image.
Let’s go a bit more in-depth.
First Meaningful Paint and Time to Interactive are particularly useful metrics in determining the performance of your web page. Essentially, the shorter these times, the faster your users can access and engage with the content on your page. Though your web team does a lot of work to ensure these that the First Meaningful Paint and the Time to Interactive occur as quickly as possible—by using CDNs, modularizing code so only what is needed loads, minifying CSS and JavaScript—there are considerations the marketer can make when working with designers or designing their content that effects these metrics.
First Meaningful Paint and Time to Interactive
As a marketer, you know how to best engage with your customers and your development team knows how to best create a platform for that content to reach them. By ensuring you are using the correct types of assets, and thinking responsively, you can help enable your web team to cut down on loading times and get your users engaged more quickly. You also can help them to find places to improve your site by sharing the metrics that matter to you. When you and your dev team work together to make either large scale or incremental changes to your website, you ensure that users visiting your site have the best and most engaging experience possible.